Status: Finished

November Rain


“Sammy, have you seen your man?” I ask around a scowl. I’ve been looking for that ass for ages. The chicken dance was on and I wanted to embarrass him, but that shit is no where to be seen, which means he’s probably sleeping!

God, even at a party he’s completely useless. That butthead…

Sammy shrugs and replies, “I think he went upstairs.”

I whine because everyone knows what happens upstairs. Now I’m going to have to go up there and look for him! What if I walk into a room to see some pale ass mother fucking pounding a girl? I really don’t want to be mentally scarred for life.

Aw well! If that happens I’ll always take my anger out on Kannon. So I risk my eye sight and go upstairs, pushing open doors to try and find the lazy ass known as my best friend. And it actually doesn’t take me long to find the lump of nothingness lying on a bed fast asleep.

Growling, I take a running start and jump right on top of him. With a loud shout, coming from me, an annoyed grunt from him, we both go tumbling to the ground in a heap of limbs. I laugh the moment I land on top of him and push myself to sit up on his stomach.

Kannon, opening one eye because he’s too lazy to open both, glares up at me and snarls, “What. Are. You doing?”

“What am I doing? What are you doing? I’m down stairs waiting for a dance and I don’t even get one! What the hell is up with that? And why are you fucking sleeping at a party!” I shout, crossing my arms angrily and glaring at the idiot below me.

Sighing, Kannon sits up and I quickly get out of his lap because we may be close, but honestly…what guy sits in his best guy friends lap? That’s just fucking weird!

== The piece is interrupted by records of crystals ==
1.
The following is a PBE calculation of a geometry-optimized Ca3ReF structure, from Alexandria.

Properties
* final energy: -22.77 eV per cell
* calculated volume: 107.4 Å³ per cell

Unit cell a=4.7537 b=4.7537 c=4.7537 alpha=90.00 beta=90.00 gamma=90.00
Atoms (fractional coordinates):
Ca: 0.0000 0.0000 0.5000
Ca: 0.0000 0.5000 0.0000
Ca: 0.5000 0.0000 0.0000
Re: 0.5000 0.5000 0.5000
F: 0.0000 0.0000 0.0000

=====

2.
The following is a PBE calculation of a geometry-optimized BeAl2Cd2 structure, from Alexandria.

Properties
* calculated volume: 191.1 Å³ per cell
* energy of formation: 0.458 eV/atom

Unit cell a=6.6484 b=6.6484 c=4.3233 alpha=90.00 beta=90.00 gamma=90.00
Atoms (fractional coordinates):
Be: 0.0000 0.0000 0.0000
Be: 0.5000 0.5000 0.0000
Al: 0.1486 0.3514 0.5000
Al: 0.3514 0.8514 0.5000
Al: 0.6486 0.1486 0.5000
Al: 0.8514 0.6486 0.5000
Cd: 0.1634 0.6634 0.0000
Cd: 0.3366 0.1634 0.0000
Cd: 0.6634 0.8366 0.0000
Cd: 0.8366 0.3366 0.0000

=====

3.
The following is a PBE calculation of a geometry-optimized CeNdGa structure, from Alexandria.

Properties
* calculated volume: 163.6 Å³ per cell
* energy of formation: -0.391 eV/atom

Unit cell a=4.4962 b=4.3261 c=8.4114 alpha=90.00 beta=90.76 gamma=90.00
Atoms (fractional coordinates):
Ce: 0.1985 0.2500 0.0100
Ce: 0.8015 0.7500 0.9900
Nd: 0.2452 0.7500 0.3676
Nd: 0.7548 0.2500 0.6324
Ga: 0.2718 0.7500 0.7377
Ga: 0.7282 0.2500 0.2623

=====

4.
The following is a PBE calculation of a geometry-optimized KErI3 structure, from Alexandria.

Properties
* final energy: -15.90 eV per cell
* calculated volume: 216.4 Å³ per cell

Unit cell a=6.0033 b=6.0033 c=6.0033 alpha=90.00 beta=90.00 gamma=90.00
Atoms (fractional coordinates):
K: 0.0000 0.0000 0.0000
Er: 0.5000 0.5000 0.5000
I: 0.0000 0.5000 0.5000
I: 0.5000 0.0000 0.5000
I: 0.5000 0.5000 0.0000

=====

5.
The following is a PBE calculation of a geometry-optimized Pm3YHoEr structure, from Alexandria.

Properties
* calculated volume: 394.0 Å³ per cell
* energy of formation: 0.021 eV/atom

Unit cell a=8.0335 b=5.0961 c=10.1479 alpha=90.00 beta=108.51 gamma=90.00
Atoms (fractional coordinates):
Pm: 0.1689 0.2500 0.0425
Pm: 0.1686 0.2500 0.5418
Pm: 0.1703 0.7500 0.2923
Pm: 0.8297 0.2500 0.7077
Pm: 0.8314 0.7500 0.4582
Pm: 0.8311 0.7500 0.9575
Y: 0.1700 0.7500 0.7926
Y: 0.8300 0.2500 0.2074
Ho: 0.4998 0.2500 0.8756
Ho: 0.5002 0.7500 0.1244
Er: 0.4988 0.7500 0.6253
Er: 0.5012 0.2500 0.3747

=====

6.
The following is a PBE calculation of a geometry-optimized YZnSe2 structure, from Alexandria.

Properties
* final energy: -19.19 eV per cell
* calculated volume: 93.3 Å³ per cell

Unit cell a=3.9886 b=3.9886 c=5.8663 alpha=90.00 beta=90.00 gamma=90.00
Atoms (fractional coordinates):
Y: 0.0000 0.0000 0.0000
Zn: 0.5000 0.5000 0.5000
Se: 0.0000 0.0000 0.5000
Se: 0.5000 0.5000 0.0000

“Can’t you let me sleep in peace?” He yawns tiredly, rubbing at his eyes. I quickly slap his hands away because when he does that it means he’s about ready to lay back down.

“No!” I exclaim, grabbing him by the ear ring. He growls as I drag him like a mother would out of the room and back down stairs. “I’m ready to go home so lets go.”

Kannon scoffs, “And why should I take you home?”

“Because I have a hold of your piercing and can rip it out right here and now if you don’t!”

Kannon growls, but does as he’s told. I laugh because yet again I am victorious! Just before we go I kiss Vanessa, my girlfriend good-bye and the moment we get into the car I’m talking a mile a minute.

“Can you believe it!” I scream, my hands locked behind my head. “I got the prettiest girl to ever walk this Earth!”

Kannon rolls his eyes and sighs, “Congratulations.”

I grin and jump up and down because really it’s amazing. It’s so amazing! I got the girl I’ve always wanted. She’s mine and I’m hers. We’re a couple, a legit couple, an item. How fucking awesome is that? Very fucking awesome that’s what!

“Hey tell your bitch of a girlfriend that you and me are going bowling tomorrow. I need a little competition and you need to get off your ass!” I order, grinning like a mad man. Kannon gives me a look that clearly states he is not interested in bowling, but I got him to agree anyways…

Because I’m chill like that.


“And what exactly is the point of this?” Kannon questions, bowling ball in hand.

I grin and throw my legs up onto the table. With my pop in hand I take a sip and reply, “Shut up old man and bowl.”

Kannon scoffs and goes towards our lane. He gets a strike and I scowl, because I knew it was coming. Kannon is good at bowling, although he only does it with me about once a week or every two weeks. But I am determined! I will beat this bum one day!

Grabbing my favorite blue ball I take my turn. I didn’t get a strike like Kannon, which told me that I’m probably going to lose, but whatever I’m going to try my hardest anyways!

**Unrelated to this text: calculated crystals**
-- begin --
The following is a DFT calculation (PBE-GGA) of an optimized crystal structure of HoSiMo.

```
HoSiMo
1.0
5.6646 0.0000 0.0000
0.0000 6.0679 0.0000
-2.3868 0.0000 6.9417
Ho Si Mo
4 4 4
Cartesian
-0.5083 1.5171 2.7387
-1.7017 1.5169 6.2095
4.9795 4.5510 0.7322
3.7861 4.5508 4.2030
2.2379 6.0667 1.7362
1.0399 0.0012 5.2055
2.2333 3.0328 1.7347
1.0445 3.0351 5.2070
0.9846 4.5509 3.2451
-0.2088 4.5509 6.7159
3.4866 1.5170 0.2258
2.2932 1.5170 3.6966
```

Values from the calculation:
The calculation puts the total energy at -7.18 eV/atom. The formation energy without anion corrections is -232 meV per atom. The spin magnetization comes out at 0.0 μB/f.u.

----------

Nb2CoO: optimized geometry, PBE with a Hubbard U.

Summary:
- calculated total energy (eV/atom) = -7.81
- total moment (μB per cell) = 1.723
- theoretical density (g cm⁻³) = 7.47

Lattice parameters (Å, degrees): 2.8130 2.8130 8.6082 80.60 80.60 60.00
With the nearest neighbours (Å) after each atom.
Atoms (fractional coordinates):
Co 0.0000 0.0000 0.0000  2 Nb 2.61, 6 Co 2.81
Nb 0.8971 0.8971 0.3086  3 O 2.29
Nb 0.1029 0.1029 0.6914  3 O 2.29
O 0.5000 0.5000 0.5000  6 Nb 2.29

----------

1.
The following is a DFT calculation (PBE-GGA) of crystalline SiAs2 at its relaxed geometry.

a = 4.6516 Å, b = 4.6516 Å, c = 5.6722 Å
α = 90.00°, β = 90.00°, γ = 120.00°
Atoms (fractional coordinates):
Si: 0.3333 0.6667 0.7500
As: 0.0000 0.0000 0.5000
As: 0.6667 0.3333 0.7500
Si: 0.6667 0.3333 0.2500
As: 0.0000 0.0000 0.0000
As: 0.3333 0.6667 0.2500

E_tot in eV per atom: -4.389
Formation energy without anion corrections in eV/atom: 0.519
Space-group type: No. 194
Magnetic moment in μB/f.u.: 0.0
Energy relative to the lowest polymorph listed for this composition in eV per atom: 0.604

---

2.
The following is a DFT calculation (PBE-GGA) of crystalline Si3As at its relaxed geometry.

a = 7.1287 Å, b = 6.2237 Å, c = 6.1809 Å
α = 90.00°, β = 90.00°, γ = 90.00°
Atoms (fractional coordinates):
As: 0.8746 0.4242 0.7500
Si: 0.6265 0.2609 0.4892
Si: 0.3735 0.7391 0.5108
Si: 0.3735 0.7391 0.9892
Si: 0.1265 0.2391 0.9892
Si: 0.8735 0.7609 0.0108
Si: 0.8786 0.0939 0.2500
Si: 0.8735 0.7609 0.4892
Si: 0.6265 0.2609 0.0108
As: 0.3746 0.0758 0.2500
As: 0.6254 0.9242 0.7500
As: 0.1254 0.5758 0.2500
Si: 0.1265 0.2391 0.5108
Si: 0.3786 0.4061 0.7500
Si: 0.6214 0.5939 0.2500
Si: 0.1214 0.9061 0.7500

E_tot in eV per atom: -4.938
Formation energy without anion corrections in eV/atom: 0.291
Space-group type: No. 62
Magnetic moment in μB/f.u.: 0.0
Energy relative to the lowest polymorph listed for this composition in eV per atom: 0.030

---

3.
The following is a DFT calculation (PBE-GGA) of crystalline SiAs5 at its relaxed geometry.

a = 5.3638 Å, b = 5.3638 Å, c = 5.0267 Å
α = 90.00°, β = 90.00°, γ = 120.00°
Atoms (fractional coordinates):
As: 0.3333 0.6667 0.0000
As: 0.5000 0.0000 0.5000
Si: 0.0000 0.0000 0.0000
As: 0.6667 0.3333 0.0000
As: 0.0000 0.5000 0.5000
As: 0.5000 0.5000 0.5000

E_tot in eV per atom: -4.099
-- stop --
**Back to the text**

“So,” I mumble, turning to face the boy who is leaning against the table. “You don’t seem so happy with Sammy lately. What’s up?”

• Data records, as found in the file:
........
SrLi3Cu: optimized geometry, PBE.

Unit cell a=4.961 b=4.961 c=4.961 alpha=90.00 beta=90.00 gamma=90.00
Fractional coordinates of all 5 atoms:
Sr 0.000 0.000 0.000
Li 0.000 0.500 0.500
Li 0.500 0.000 0.500
Li 0.500 0.500 0.000
Cu 0.500 0.500 0.500

Properties
The energy of formation from the pure elements is 0.08 eV/atom. For the density of states at the Fermi level, the calculation gives 3.18 states/eV per cell. The volume comes out at 24.4 Å³/atom. Its distance to the lowest polymorph of the same formula is 72 meV per atom. As for the space group: Pm-3m.


(1)
SeI2Br after structural relaxation, computed with PBE.

Cell: 8.8937 8.8937 12.8546 Å, 90.00 90.00 90.00°
Space group I4_1/amd (No. 141, origin choice 2)
Asymmetric unit:
Se  0.0000  0.2500  0.3750 x4
I  0.0000  0.0000  0.5000 x8
Br  0.0000  0.2500  0.8750 x4

Properties
DFT total energy (eV per formula unit): -7.023
Calculated volume (Å³/atom): 63.55
Relative energy among the computed polymorphs (kcal/mol of atoms): 7.55
Mass density (Mg/m³): 2.70



(2)
SeIBr after structural relaxation, computed with PBE.

Cell: 6.6490 6.7381 7.2456 Å, 88.05 76.92 60.59°
Space group P-1 (No. 2)
Asymmetric unit:
Se  0.0107  0.0580  0.3407 x2
I  0.0031  0.3218  0.8879 x2
Br  0.4321  0.8980  0.2596 x2

Properties
DFT total energy (eV per formula unit): -6.723
Calculated volume (Å³/atom): 45.72
Relative energy among the computed polymorphs (kcal/mol of atoms): 1.28
Mass density (Mg/m³): 3.46



no.,ΔE_f (raw) (eV/atom)
1,0.31
2,-0.01


Entry 1:
Compound: Er4Ge8Ru
Source: Alexandria
Functional: PBE-GGA
Structure: relaxed

Cell lengths 3.9960, 4.1248, 16.0668 Å; angles 90.00, 90.00, 90.00 degrees
Closest atoms and distances in Å follow each position.
Sites, in units of the cell vectors:
Er 0.0000 0.0000 0.0960  10 Ge 2.92-3.25
Er 0.0000 0.5000 0.6101  10 Ge 2.94-3.10
Er 0.5000 0.5000 0.3994  10 Ge 3.07-3.43, 4 Ru 3.17
Er 0.5000 0.0000 0.8947  10 Ge 2.96-3.21
Ge 0.0000 0.0000 0.4662  1 Ru 2.43, 2 Ge 2.60
Ge 0.0000 0.5000 0.9399  2 Ge 2.64
Ge 0.5000 0.5000 0.0476  2 Ge 2.64
Ge 0.5000 0.0000 0.5699  2 Ge 2.60
Ge 0.0000 0.5000 0.2305  2 Ru 2.47
Ge 0.0000 0.0000 0.7500  4 Ge 2.87, 4 Er 3.05-3.06
Ge 0.5000 0.0000 0.2287  2 Ru 2.43
Ge 0.5000 0.5000 0.7548  4 Ge 2.87, 4 Er 3.05-3.07
Ru 0.0000 0.0000 0.3151  5 Ge 2.43-2.47

## Properties
Its space group is Pmm2, No. 25. The calculation puts the formation energy at -577 meV/atom.



Entry 2:
Compound: CdReCl2
Source: Alexandria
Functional: PBE-GGA
Structure: relaxed

Cell lengths 4.9960, 4.9960, 4.9960 Å; angles 60.00, 60.00, 60.00 degrees
Closest atoms and distances in Å follow each position.
Sites, in units of the cell vectors:
Re 0.7500 0.7500 0.7500  4 Cd 3.06, 4 Cl 3.06
Cl 0.0000 0.0000 0.0000  4 Re 3.06, 4 Cl 3.06
Cl 0.2500 0.2500 0.2500  4 Cd 3.06, 4 Cl 3.06
Cd 0.5000 0.5000 0.5000  4 Cl 3.06, 4 Re 3.06

## Properties
Its space group is F-43m, No. 216. The excess energy over the best structure of this formula in the dataset is 987 meV per atom.



Entry 3:
........

Kannon scoffs, but I know that I hit something because he didn’t turn to look at me. Normally, if everything was fine, he’d look up at me with that ‘you’re such an idiot’ look and do whatever it is he’s doing. But this time he continued staring at his feet, rather angrily I might add.

For Kannon to look angry takes energy, which means that there is definitely something up.

“Come on Kannon, you can tell me about it. She’s been a little bitchy lately too. Are you two fighting?” I ask around a chuckle, because really it isn’t at all weird for them to be fighting. It’s actually quit common. I don’t know why they stick around each other.

Shrugging, Kannon grabs a bowling ball and gets a strike again. “You could say that.”

“Is everything ok? What can I do to help?” I’m his best friend. It’s my job to help him get some! Even if that some is Sammy, who is a bit of a bitch.

“Nothing, just forget it…by the way, you pop spilled.”

“What? Why didn’t you tell me sooner, you ass!”
♠ ♠ ♠
So Bridyn sees that something is up but he doesn't know what
